Earier this month, our Greenpeace Winnipeg local group volunteers organized a film screening and panel discussion to engage people on the topic of the growing plastic crisis in their community and around the globe. They screened the award-winning film
“Bag It” and invited 3 distinct guest speakers and local experts to connect with the audience on a deeper level. The event was a success, with over 40  people in attendance. High fives to our Winnipeg team! Lots of good questions were asked, and answered, and folks left with a sense of urgency in their hearts to help make change happen!  I asked Cam Sheppard, one of the Winnipeg local group organizers, and panel moderator, what he had to say about the event. Here’s what he shared:

Why did Greenpeace Winnipeg volunteers decide to show this film in particular?

We are seeing more and more plastic use worldwide including here in Manitoba and are hoping to shed some light on the fact that only reducing straws (as we are doing more and more here in Winnipeg with our Strawless Summer campaign) is not enough. Simple changes can go a long way by not only decreasing the amount of garbage going to landfills but also by reducing the amount of plastic-related diseases and ailments. The more we can lead and encourage people to make more educated decisions around single-use plastics, the faster we can move towards a society that is doing away with and creating alternatives to single-use plastic. “Bag It” sheds light on a SUP that is unnecessary and delves further into how much waste finds its way into waterways and the ocean, and also shows the science behind what we may accidentally be ingesting because it came in plastic.

Inserted here: quantum chemistry results
********
[1]
The following is a DFT calculation (wB97M-V/def2-TZVPD) of a molecular structure, C35H72BFO5PV at a distorted geometry.

XYZ file:
```
116
Properties=species:S:1:pos:R:3:forces:R:3
V -2.667721 0.260202 1.706203 0.21 1.86 -1.78
C 2.647762 6.188611 -3.489841 0.17 -0.04 -0.53
C 1.441084 5.454721 -4.073609 -0.33 0.58 -0.18
C 0.880614 4.359519 -3.180651 0.39 -0.21 0.84
C 1.789060 3.126193 -3.098871 0.32 -0.02 -0.01
P 1.417031 1.959717 -1.774469 -0.40 -1.09 -0.60
C 0.947136 2.787791 -0.264292 -0.49 0.02 -0.10
C 1.994138 3.690544 0.371236 0.31 -0.27 -0.04
C 1.619039 4.107597 1.788187 0.44 0.35 0.32
C 0.234417 4.721202 1.951472 0.37 -0.11 0.44
C -0.003444 0.937901 -2.242964 -0.24 0.54 0.66
C -0.144885 0.592133 -3.715813 0.49 -0.05 -0.17
C -1.380628 -0.256990 -3.974059 -0.57 0.08 0.24
C -2.676347 0.510745 -3.721874 -0.48 -0.13 0.15
C 2.836117 0.877369 -1.535330 0.69 1.12 0.68
C 2.834454 0.075639 -0.218850 0.17 -0.26 -0.84
C 4.216320 -0.510819 0.065303 0.12 -0.63 0.27
C 4.758855 -1.345630 -1.088143 0.06 0.40 -0.39
H 3.017193 6.902916 -4.227969 -0.08 0.08 0.05
H 3.496732 5.523677 -3.314373 -0.10 -0.02 0.28
H 2.396402 6.758668 -2.595953 0.04 -0.19 0.14
H 1.682290 5.116965 -5.084929 -0.05 -0.30 0.10
H 0.642858 6.191816 -4.204008 0.03 -0.02 -0.07
H -0.137078 4.050167 -3.427587 0.04 0.07 -0.31
H 0.812692 4.781940 -2.169817 -0.10 0.06 -0.09
H 2.840227 3.381569 -2.922426 -0.10 0.28 -0.10
H 1.770206 2.580215 -4.045667 0.06 -0.11 0.07
H 0.573306 2.009457 0.406130 0.17 -0.11 0.12
H 0.033001 3.321633 -0.554317 0.10 0.19 0.14
H 2.178248 4.537915 -0.296800 -0.07 0.15 0.21
H 2.945907 3.152131 0.443076 0.00 0.02 -0.12
H 2.354118 4.831067 2.157320 0.01 0.09 -0.29
H 1.796655 3.264185 2.464998 -0.46 -0.18 -0.14
H 0.140126 5.606874 1.322009 -0.22 -0.10 -0.14
H 0.141864 5.061288 2.985301 -0.12 0.03 -0.03
H -0.565859 4.002853 1.776295 -0.04 0.08 -0.22
H -0.865262 1.521250 -1.892922 -0.10 -0.18 -0.07
H 0.036763 0.061954 -1.585079 -0.03 -0.04 -0.09
H 0.747863 0.062603 -4.067351 -0.01 -0.03 0.04
H -0.178653 1.530662 -4.277498 -0.19 -0.11 -0.16
H -1.366479 -1.104882 -3.283203 0.16 -0.11 -0.18
H -1.396527 -0.664687 -4.984713 0.24 0.08 -0.04
H -2.840012 0.707081 -2.658039 0.20 0.28 -0.04
H -3.566637 -0.053929 -4.012612 0.19 -0.15 -0.19
H -2.724293 1.442270 -4.289296 0.12 0.07 0.12
H 3.664425 1.597191 -1.423556 0.08 -0.13 -0.31
H 3.040685 0.292925 -2.431019 -0.16 -0.10 -0.01
H 2.138666 -0.756714 -0.340292 -0.18 0.15 0.34
H 2.531285 0.740735 0.589371 -0.20 -0.24 0.15
H 4.130475 -1.215140 0.897863 -0.13 0.32 0.24
H 4.921122 0.258688 0.391336 -0.02 0.08 -0.15
H 4.000678 -2.064595 -1.408009 0.18 -0.06 -0.05
H 5.673615 -1.872016 -0.823049 -0.09 -0.11 0.18
H 5.026220 -0.734769 -1.955924 -0.10 -0.02 -0.02
B -0.612787 -0.597532 1.354413 0.82 -0.81 0.21
H -0.745355 -0.450582 2.525023 0.24 -0.01 0.90
H -0.827742 0.460545 0.860996 -0.47 0.74 -0.47
H 0.471869 -0.983568 1.035130 -0.04 -0.07 0.01
H -1.451487 -1.378405 1.070513 -0.52 -0.72 -0.62
C -3.394360 3.176921 0.577335 0.21 0.02 0.16
********
End of the quantum chemistry results

What impact do you think films and panel discussions can have on movement building in general and on tackling the problem of plastic-pollution?

Film screenings are a fantastic way to start the conversation about topics that people may want to know more about, but may not know where to start or how to move towards their goals. Just showing a film, however, provides a disconnect from the topic when you have those interested in the topic altogether in the same room. By pairing a film screening with a discussion, and calling upon experts in the field to speak more about the topic and what can be done at a local level really brings the amount of interest up another notch. It allows for some phenomenal questions and answers to come from the participants in dialogue with those panellists who may know more than the organizers of the event or those attending it. The ideas and information expressed in the films truly can resonate with the viewers and can lead to a lifetime of more informed choices such as vowing to not allow the chemicals from plastics to enter their bodies or the bodies of their children who may be senselessly ingesting harmful chemicals because of the choices of their parents.

Who spoke at your event?

Kayla Buehler (left) is the creator of Create Simple, an online community focused on teaching people about simple, sustainable solutions to incorporate into their lives. She only recently began her journey into living a greener and more sustainable lifestyle but wanted to teach others the many ways they can also start to live more sustainable lives. She has a passion for learning and sharing her knowledge with others and is always looking for opportunities to make positive changes in her community. Kayla is in her final year of the Creative Communications program at Red River College.

Marisa Loreno (centre), founder of Zerowaste Manitoba, lived a life with intention until she ventured into zerowaste in the summer of 2016 and took a closer look at the trash around her. After the transition to less waste, a newfound focus on pulling all the resources and organizations in Manitoba together, to generate more local knowledge that is tailored to a less wasteful life in Manitoba, seemed necessary.

Pepper Pritty (right) is a Registered Nurse and practices as a Public Health Consultant and specializes in Environmental Health. With a background in Agriculture and a master’s degree in Natural Resources Management, she is currently a doctoral student in the Faculty of Environment at the University of Manitoba studying Indigenous built and social environments. She is passionate about chronic disease prevention and promoting land-based teachings as a source of health and healing.

What important messages were shared at the event?

Most of the panellist had similar messages in their reasons for reducing waste – needing to start somewhere, reducing their carbon footprint and trying to lead by example. Most also spoke about “refusing” being the #1 step with recycling as a last resort. They also all agreed that being prepared with your own reusables like cutlery, straws, water bottles, cloth bags, Tupperware etc, was also essential to collectively reducing the number of SUPs being given out. The main message was one of being open to educating others about why you are bringing your own reusable supplies and why refusing SUPs is vital to the fight against senseless plastic.

What’s next for the Greenpeace Winnipeg local group and how to get involved? 

We are holding a meeting on Thursday, April 11 from 6:30 -8:00 at the St Boniface Public Library to inform people about what Greenpeace Winnipeg is planning.  We plan to give a brief overview of Greenpeace Canada’s national campaigns and calls to action,  and then we will focus on Greenpeace Winnipeg’s local plastics campaign – The Strawless Summer – and how people can volunteer and sign up to help. We need more assistance with this popular campaign and there are many ways to get involved in this work!

So there you have it! Many thanks to Cam for sharing, and to the rest of the team in Winnipeg for being so incredibly positive and dedicated to making positive change happen in their community. Thanks for the inspiration.

Aspa Tzaras
Greenpeace National Local Group Coordinator

To get in touch with our group of volunteers in Winnipeg.  Please connect with the Greenpeace Winnipeg local group directly through their website, or on Greenwire!